1. Introduction

In 2016, cybercriminals used a phishing email to obtain access to the email accounts of many Democratic National Committee employees, resulting in the publication of classified data harmful to Hillary Clinton’s campaign for president.

In this tutorial, we’ll talk about Social Engineering, a deception or scam orchestrated by sophisticated hackers to access sensitive information from third parties. In particular, we’ll introduce Social Engineering, walk through the most common attack techniques, and mention some basic precaution meters of Social Engineering manipulation.

2. What Is Social Engineering?

First of all, the phrase “Social Engineering” was introduced in 1941 by the science fiction author Robert Heinlein in an attempt to characterize the ability to use psychological techniques and tricks to deceive and influence the conduct of people.

The definition has been adapted and is widely used in cybersecurity in the process of defending confidential or private data from digital threads. Basically, the phrase refers to the act of psychologically manipulating individuals in order to gain access to their data and get an advantage of them. Furthermore, similar approaches are used to gain sensitive or classified information, or even significant sums of money, from business companies, individuals, or even whole states.

Therefore, the attackers don’t breach the security system of a computer or a server to obtain information but rely mainly on the trust and naivety shown to them by others.

3. Social Engineering Attack Techniques

In a social engineering assault, attackers might employ a variety of strategies. The most common techniques are the following.

3.1. Phishing

Here the page breaks off for data records:
____________
{
  "formula": "C7H75FN2O38P2S2",
  "method": "ωB97M-V/def2-TZVPD",
  "e_homo_ev": -8.5,
  "lumo_energy_ev": -0.041,
  "gap_ha": 0.3102,
  "elements": ["H", "O", "O", "O", "H", "O", "O", "O", "H", "H", "H", "C", "O", "H", "H", "H", "H", "H", "H", "H", "H", "O", "H", "H", "H", "H", "H", "H", "H", "H", "H", "H", "O", "H", "H", "H", "H", "O", "P", "H", "O", "H", "H", "H", "H", "C", "O", "O", "H", "H", "H", "H", "H", "H", "H", "H", "O", "H", "H", "N", "H", "H", "O", "H", "H", "O", "N", "O", "O", "H", "O", "H", "O", "O", "H", "O", "S", "O", "O", "O", "H", "H", "C", "H", "O", "H", "O", "H", "O", "H", "H", "H", "H", "H", "H", "H", "C", "C", "P", "H", "O", "O", "C", "H", "S", "H", "H", "H", "H", "O", "O", "H", "O", "H", "H", "O", "H", "C", "F", "H", "O", "O", "H", "H", "O", "H", "O"],
____________

Phishing is one of the most common Social Engineering techniques. Usually, false emails or texts that seem to come from a genuine origin, such as a friend or a legitimate organization are used. Links to harmful websites or installed malware are usually contained in these texts. Typically, these messages need to be opened or clicked by the user in order to breach the security of the system.

These false texts often contain installed malware that can harm the individual’s computer system and gain their information

3.2. Baiting

Another very common strategy of Social Engineering is getting the people’s eye by providing a very appealing item or service at an extremely low price or free. These methods are usually employed as online advertisements or pop-up messages of giving away products. In order to get that special free gift these pop-up ads usually demand private details and personal information such as a debit card or telephone number. Basically, these techniques are quite noticeable and can easily be detected.

3.3. Pretexting

Pretexting assault is about the creation of a false identity in order to acquire personal data from individuals or companies. During this technique, the victim usually seems to trust the attacker as he pretends to be an authoritative person of a company or a customer service agent. Via email or phone call, the hackers ask for login credentials on email, social media, or bank accounts or persuade the unsuspicious individual to act according to their will as they appear as a specialist on a particular subject.

3.4. Quid Pro Quo

A similar technique with pretexting is quid pro quo. The attackers often pretend to be the representative of an organization that offers technical support or a desirable solution to a problem. It is an effective trick as the attackers, which usually seem legitimate, in order to resolve the hypothetical issue and assist the victim to ask for IP addresses, login credentials, and other personal information.

3.5. Scareware

Scareware is a method that aims to cause fear and haste in unsuspected individuals. Usually, on websites, pop-up texts appear that the computer is infected by harmful malware and offer solutions to save the situation and destroy the virus in exchange for money or private data. Thus, these scams are usually quite effective since they are based on the person’s ignorance and fear of losing their data or permanently damaging their computer.

4. Defending Against Social Engineering

Individuals and organizations have to adopt several actions to get protected from potential Social Engineering assaults.

First of all, one of the most essential defenses from attacks is precaution. It is important that individuals and staff of an organization should be aware and well-educated about the dangers involved in Social Engineering and also ways to detect and counter such frauds.

Furthermore, people should always take robust meters and confirm the identity of those they’re contacting and especially those who request personal sensitive information and their system access. Also, to prevent the compromise of their system individual should follow certain technical measures, like installing software, like firewalls for identifying spam and malware.

5. Conclusion

In this article, we walked through Social Engineering, an effective method used by cybercriminals to access the sensitive information of others. In particular, we focused on the different attack techniques that Social Engineering involves and mentioned certain ways to defend ourselves.